Wanted:
Please say how many lines of the data below hold the word "Ni1", as a bare number.
Given:
____________
# 1
Diffraction record for Ni8Ge2B3. The X-ray diffraction stick pattern is calculated, not measured: it uses a cell relaxed with GGA-PBE and Cu Ka.

Largest 10 diffraction maxima, sorted by position, 10 to 90 degrees two-theta:
two_theta, I (rel.), hkl
38.43, 18, 0 4 2
38.73, 55, 1 3 1
42.14, 81, 1 4 1
42.82, 100, 1 0 2
43.62, 33, 1 5 0
45.76, 40, 0 7 1
46.86, 41, 1 3 2
48.59, 21, 0 3 3
51.48, 24, 0 4 3
63.43, 29, 2 0 0

Crystal structure
```
data_Ni8Ge2B3
_cell_length_a 2.9330
_cell_length_b 14.6796
_cell_length_c 6.0845
_cell_angle_alpha 90.00
_cell_angle_beta 90.00
_cell_angle_gamma 90.00
_symmetry_space_group_name_H-M 'P m m n'
_symmetry_Int_Tables_number 59
loop_
_symmetry_equiv_pos_as_xyz
'x,y,z'
'-x,-y,-z'
'-x+1/2,-y+1/2,z'
'x+1/2,y+1/2,-z'
'x+1/2,-y,-z'
'-x+1/2,y,z'
'-x,y+1/2,-z'
'x,-y+1/2,z'
loop_
_atom_site_label
_atom_site_type_symbol
_atom_site_fract_x
_atom_site_fract_y
_atom_site_fract_z
Ni1 Ni 0.2500 0.0236 0.2002
Ni2 Ni 0.2500 0.1046 0.6335
Ni3 Ni 0.2500 0.2500 0.0757
Ni4 Ni 0.2500 0.6633 0.6591
Ni5 Ni 0.2500 0.7500 0.2974
Ge1 Ge 0.2500 0.6255 0.0375
B1 B 0.2500 0.2500 0.4571
B2 B 0.2500 0.5324 0.5394
```

# 2
Diffraction record for CaAl2Si3H4O12. The X-ray diffraction stick pattern is calculated, not measured: it uses a cell relaxed with GGA-PBE and Cu Ka.

Largest 10 diffraction maxima, sorted by position, 10 to 90 degrees two-theta:
two_theta, I (rel.), hkl
13.41, 52, 0 2 1
15.05, 100, 1 1 -1
19.33, 29, 0 4 0
20.07, 33, 1 1 -2
20.36, 65, 1 3 0
27.55, 25, 1 1 2
28.22, 28, 1 5 -1
30.36, 31, 2 2 -2
30.86, 62, 1 3 2
31.26, 48, 1 5 1

Crystal structure
```
data_CaAl2Si3H4O12
_cell_length_a 6.5797
_cell_length_b 18.3671
_cell_length_c 10.0422
_cell_angle_alpha 90.00
_cell_angle_beta 109.04
_cell_angle_gamma 90.00
_symmetry_space_group_name_H-M 'C 1 c 1'
_symmetry_Int_Tables_number 9
_symmetry_space_group_name_Hall 'C -2yc'
loop_
_atom_site_label
_atom_site_type_symbol
_atom_site_fract_x
_atom_site_fract_y
_atom_site_fract_z
Ca1 Ca 0.0000 0.1445 0.0000
Al1 Al 0.0652 0.3385 0.1288
Al2 Al 0.3857 0.0825 0.2669
Si1 Si 0.1939 0.2216 0.3656
Si2 Si 0.2679 0.0302 0.5241
Si3 Si 0.3548 0.3734 0.9320
H1 H 0.0014 0.1404 0.7163
H2 H 0.1111 0.4492 0.4851
H3 H 0.1972 0.4112 0.6355
H4 H 0.2463 0.1221 0.7869
O1 O 0.0165 0.0561 0.4569
O2 O 0.1207 0.1402 0.8088
O3 O 0.1514 0.3906 0.7917
O4 O 0.1782 0.3033 0.3001
O5 O 0.2176 0.1605 0.2516
O6 O 0.2260 0.4178 0.5445
O7 O 0.2649 0.0503 0.0938
O8 O 0.2839 0.3606 0.0710
O9 O 0.3783 0.0226 0.4009
O10 O 0.4016 0.0886 0.6430
O11 O 0.4088 0.2272 0.5076
O12 O 0.4805 0.2994 0.9073
```

# 3
Diffraction record for CsYMg6O8. The X-ray diffraction stick pattern is calculated, not measured: it uses a cell relaxed with GGA-PBE and Cu Ka.

Largest 10 diffraction maxima, sorted by position, 10 to 90 degrees two-theta:
two_theta, I (rel.), hkl
19.55, 34, 0 0 2
26.39, 29, 1 1 0
28.19, 52, 1 1 1
29.51, 23, 0 0 3
33.06, 64, 1 1 2
37.67, 100, 2 0 0
39.70, 37, 0 0 4
54.33, 31, 2 2 0
55.88, 49, 2 0 4
69.36, 24, 2 2 4

Crystal structure
```
data_CsYMg6O8
_cell_length_a 4.7759
_cell_length_b 4.7759
_cell_length_c 9.0819
_cell_angle_alpha 90.00
_cell_angle_beta 90.00
_cell_angle_gamma 90.00
_symmetry_space_group_name_H-M 'P 4/m m m'
_symmetry_Int_Tables_number 123
_symmetry_space_group_name_Hall '-P 4 2'
loop_
_atom_site_label
_atom_site_type_symbol
_atom_site_fract_x
_atom_site_fract_y
_atom_site_fract_z
Cs1 Cs 0.0000 0.0000 0.0000
Y1 Y 0.5000 0.5000 0.0000
Mg1 Mg 0.0000 0.0000 0.5000
Mg2 Mg 0.0000 0.5000 0.2752
Mg3 Mg 0.5000 0.5000 0.5000
O1 O 0.0000 0.0000 0.2906
O2 O 0.0000 0.5000 0.0000
O3 O 0.0000 0.5000 0.5000
O4 O 0.5000 0.5000 0.2605
```

# 4
Diffraction record for Li17Cl5O6. The X-ray diffraction stick pattern is calculated, not measured: it uses a cell relaxed with GGA-PBE and Cu Ka.

Largest 10 diffraction maxima, sorted by position, 10 to 90 degrees two-theta:
two_theta, I (rel.), hkl
10.58, 12, 0 0 2
15.91, 9, 0 0 3
32.13, 100, 0 0 6
33.02, 45, 1 1 3
40.00, 22, 0 1 6
44.72, 14, 2 0 -6
____________
Solution:
1